# Activity
Now filter the material further down: keep the lines with the word "written".

# Given
+++
Arrangement 1

# MgFeCo5O12

A relaxed MgFeCo5O12 crystal (GGA+U, Materials Project).

Cell and atoms, written as POSCAR:
```
MgFeCo5O12
1.0
2.4987 4.3240 -0.3496
-2.4662 4.3021 -0.1829
-0.3344 -0.6316 10.0401
Co O Mg Fe
5 12 1 1
Direct
0.5128 0.0068 0.5005
0.8446 0.3453 0.5000
0.3126 0.3420 0.9946
0.1763 0.6766 0.4949
0.6514 0.6750 0.0124
0.8410 0.6773 0.6092
0.3509 0.0198 0.0953
0.2178 0.9995 0.6002
0.1482 0.3375 0.4096
0.6528 0.3542 0.0957
0.8114 0.0126 0.4097
0.5397 0.3554 0.5992
0.0179 0.6546 0.0960
0.5158 0.6758 0.4025
0.9352 0.3693 0.8954
0.3137 0.6615 0.8951
0.6062 0.9921 0.8955
0.5712 0.6740 0.7471
0.9804 0.0082 0.9972
```

Summary:
crystal system: triclinic
calculated density: 4.4 g/cm³
total magnetic moment: 9.04 μB/f.u.

Arrangement 2

# MgFeCo5O12

A relaxed MgFeCo5O12 crystal (GGA+U, Materials Project).

Cell and atoms, written as POSCAR:
```
MgFeCo5O12
1.0
2.4923 4.3292 -0.3587
-2.4620 4.2993 -0.1793
-0.3612 -0.6275 9.8338
O Co Mg Fe
12 5 1 1
Direct
0.2798 0.6750 0.8942
0.1461 0.3365 0.4047
0.4826 0.6635 0.4047
0.3870 0.0000 0.0961
0.0137 0.6235 0.0963
0.1752 0.0000 0.6078
0.9548 0.3250 0.8942
0.5534 0.3222 0.5983
0.6342 0.0000 0.8950
0.8756 0.6778 0.5983
0.6372 0.3765 0.0963
0.8484 0.0000 0.3954
0.3156 0.3343 0.9887
0.8474 0.3309 0.4965
0.6499 0.6657 0.9887
0.1783 0.6691 0.4965
0.5113 0.0000 0.4948
0.9080 0.0000 0.7528
0.9989 0.0000 0.0433
```

Summary:
crystal system: monoclinic
calculated density: 4.5 g/cm³
total magnetic moment: 11.03 μB/f.u.

Stability check: which of them is least stable? arrangement 2.

Arrangement 1

# Fe2CoO4

A relaxed Fe2CoO4 crystal (GGA+U, Materials Project).

Cell and atoms, written as POSCAR:
```
Fe2CoO4
1.0
-5.3015 -2.2921 1.7280
-2.1139 -4.9777 -2.6645
-0.9250 -31.0180 18.2931
Co Fe O
12 24 48
Direct
0.8787 0.8787 0.1447
0.4998 0.4998 0.2500
0.5000 0.5000 0.8334
0.4994 0.4994 0.5004
0.4996 0.4996 0.4165
0.4977 0.4977 0.0844
0.8777 0.8777 0.9781
0.5006 0.5006 0.6667
0.5004 0.5004 0.7499
0.4990 0.4990 0.3337
0.4999 0.4999 0.5833
0.5024 0.5024 0.9162
0.4984 0.0028 0.9163
0.9940 0.5011 0.2505
0.5027 0.5027 0.1650
0.4987 0.9986 0.4174
0.8807 0.8807 0.8115
0.8790 0.8790 0.3127
0.9986 0.4987 0.4174
0.5011 0.9940 0.2505
0.0010 0.5029 0.0822
0.4997 0.9999 0.7502
0.1185 0.1185 0.5222
0.1192 0.1192 0.6889
0.5030 0.5030 0.9990
0.9995 0.4989 0.5837
0.1194 0.1194 0.8550
0.0028 0.4984 0.9163
0.8798 0.8798 0.4784
0.9999 0.4997 0.7502
0.1229 0.1229 0.1880
0.8808 0.8808 0.6450
0.5029 0.0010 0.0822
0.4989 0.9995 0.5837
0.1192 0.1192 0.3554
0.1237 0.1237 0.0199
0.2462 0.7313 0.3771
0.2605 0.2605 0.0447
0.2855 0.7335 0.1221
0.2532 0.2532 0.3771
0.7545 0.2697 0.6230
0.2541 0.2541 0.7882
0.7335 0.2855 0.1221
0.2465 0.7333 0.8763
0.2458 0.7307 0.5432
0.2469 0.7317 0.7097
0.2688 0.7533 0.4561
0.7509 0.7509 0.6220
0.7492 0.7492 0.4557
0.2534 0.2534 0.2884
0.7464 0.2776 0.9584
0.7533 0.2688 0.4561
0.2508 0.2508 0.5441
0.7297 0.7297 0.0480
0.7550 0.2699 0.7896
0.7555 0.2664 0.2896
0.7383 0.7383 0.1235
0.2533 0.2533 0.6218
0.2699 0.7550 0.7896
0.7484 0.7484 0.8773
0.2697 0.7545 0.6230
0.2500 0.7307 0.2082
0.2607 0.2607 0.9521
0.7313 0.2462 0.3771
0.7478 0.7478 0.7111
0.7508 0.7508 0.7886
0.7471 0.7471 0.5446
0.7395 0.7395 0.9564
0.2656 0.7070 0.0469
0.2496 0.2496 0.8773
0.7070 0.2656 0.0469
0.2621 0.2621 0.1225
0.2776 0.7464 0.9584
0.7482 0.7482 0.3785
0.7435 0.7435 0.2132
0.7307 0.2500 0.2082
0.7307 0.2458 0.5432
0.2499 0.2499 0.4555
0.2664 0.7555 0.2896
0.7333 0.2465 0.8763
0.7484 0.7484 0.2897
0.2517 0.2517 0.7107
0.7317 0.2469 0.7097
0.2573 0.2573 0.2098
```

Summary:
crystal system: monoclinic
calculated density: 5.0 g/cm³
total magnetic moment: 12.66 μB/f.u.

Arrangement 2

# Fe2CoO4

A relaxed Fe2CoO4 crystal (GGA+U, Materials Project).

Cell and atoms, written as POSCAR:
```
Fe2CoO4
1.0
-4.2816 -4.2816 0.0000
-4.2816 0.0000 -4.2816
0.0000 -4.2816 -4.2816
O Co Fe
8 2 4
Direct
0.1567 0.6144 0.6144
0.1356 0.5933 0.1356
0.6144 0.1567 0.6144
0.1356 0.1356 0.5933
0.6144 0.6144 0.1567
0.5933 0.1356 0.1356
+++

# Solution
Cell and atoms, written as POSCAR:
Cell and atoms, written as POSCAR:
Cell and atoms, written as POSCAR:
Cell and atoms, written as POSCAR: